Category Archives: Challenge Prizes

The winning prizes for all HeroMachine challenges.

+++
Below is crystalline Pr7YIn4 at its relaxed geometry, with properties calculated at the PBE-GGA level.

Summary:
As for the crystal system: monoclinic. The formation energy from the elements comes out at -1.74 eV per formula unit.

```
12
Lattice="-5.421 -0.204 2.259 0.812 -1.723 9.436 -2.011 6.901 3.440" Properties=species:S:1:pos:R:3 pbc="T T T"
Pr -4.656 1.970 11.932
Pr -1.963 3.005 3.203
Pr -0.380 0.778 6.800
Pr -6.239 4.197 8.335
Pr -2.556 4.196 9.529
Pr -2.710 -0.102 1.130
Pr -4.063 0.779 5.606
Y 0.000 0.000 0.000
In -4.105 3.876 5.783
In -2.514 1.098 9.352
In -5.101 5.415 11.175
In -1.518 -0.440 3.960
```

Below is crystalline YCd2Re at its relaxed geometry, with properties calculated at the PBE-GGA level.

Summary:
As for the crystal system: monoclinic. The formation energy from the elements comes out at 1.20 eV per formula unit. Its energy above the most stable polymorph in this dataset is 0.060 eV per atom.

```
4
Lattice="4.806 0.000 0.000 0.000 2.950 -0.002 0.000 1.858 5.761" Properties=species:S:1:pos:R:3 pbc="T T T"
Cd 0.000 0.179 0.116
Cd 0.000 2.225 2.764
Re 2.403 1.202 1.440
Y 2.403 3.606 4.319
```

Below is crystalline KLa4Cr at its relaxed geometry, with properties calculated at the PBE-GGA level.

Summary:
As for the crystal system: cubic. The formation energy from the elements comes out at 4.32 eV per formula unit.

```
6
Lattice="3.359 -5.063 3.099 -3.179 -3.868 4.631 -1.524 -6.489 -1.444" Properties=species:S:1:pos:R:3 pbc="T T T"
K 0.000 0.000 0.000
La 1.094 -8.287 3.873
La -1.240 -8.969 1.701
La -2.031 -7.716 4.606
La -0.512 -5.866 2.392
Cr -1.008 -11.564 4.714
```

Below is crystalline KMnW3 at its relaxed geometry, with properties calculated at the PBE-GGA level.

Summary:
As for the crystal system: cubic. The formation energy from the elements comes out at 19.47 eV per formula unit. Its energy above the most stable polymorph in this dataset is 2.086 eV per atom.

```
5
Lattice="4.433 0.000 0.000 0.000 4.433 0.000 0.000 0.000 4.433" Properties=species:S:1:pos:R:3 pbc="T T T"
K 0.000 0.000 0.000
Mn 2.216 2.216 2.216
W 0.000 2.216 0.000
W 0.000 0.000 2.216
W 2.216 0.000 0.000
```

Below is crystalline AcNiHg2 at its relaxed geometry, with properties calculated at the PBE-GGA level.

Summary:
As for the crystal system: monoclinic. The formation energy from the elements comes out at -1.20 eV per formula unit.

```
8
Lattice="-4.408 -3.673 -0.242 1.204 -5.519 -1.156 1.259 -3.976 5.910" Properties=species:S:1:pos:R:3 pbc="T T T"
Ac -0.034 -4.541 3.968
Ac -1.912 -8.626 0.544
Ni 0.425 -7.036 1.975
Ni -2.370 -6.132 2.537
Hg -1.062 -7.787 4.166
Hg -2.073 -10.739 3.715
Hg -0.883 -5.380 0.346
Hg 0.128 -2.429 0.797
```

Below is crystalline K2ZnTc at its relaxed geometry, with properties calculated at the PBE-GGA level.

Summary:
As for the crystal system: tetragonal. The formation energy from the elements comes out at 4.12 eV per formula unit.

```
8
+++

HM3: Goggle mask

I've just uploaded Trekkie's prize for winning Character Contest 88 to Headgear-Mask:


HM3: Cybertaur

(These crystal structures were left in the page by mistake)
-- begin --
Record 1
TmGa2Bi | PBE | relaxed

a b c (Å): 4.858 4.858 5.601
angles (deg): 64.30 64.30 60.00
Sites, in units of the cell vectors:
Tm 0.500 0.500 0.500
Bi 0.000 0.000 0.000
Ga 0.241 0.241 0.278
Ga 0.759 0.759 0.722

**Formation energy from the elements**: -143 meV/atom
**M_tot**: 0.000 Bohr magnetons per cell
**VASP energy**: -3.7442 eV/atom


Record 2
Tm5Ga2Bi | PBE | relaxed

a b c (Å): 8.067 8.067 8.558
angles (deg): 118.12 118.12 90.00
Sites, in units of the cell vectors:
Tm 0.510 0.708 0.718
Tm 0.792 0.990 0.282
Tm 0.000 0.000 0.000
Tm 0.500 0.500 0.000
Tm 0.208 0.010 0.718
Tm 0.708 0.208 0.718
Tm 0.010 0.510 0.718
Tm 0.292 0.792 0.282
Tm 0.990 0.490 0.282
Tm 0.490 0.292 0.282
Ga 0.150 0.350 0.000
Ga 0.650 0.150 0.000
Ga 0.350 0.850 0.000
Ga 0.850 0.650 0.000
Bi 0.750 0.750 0.500
Bi 0.250 0.250 0.500

**Formation energy from the elements**: -564 meV/atom
**M_tot**: 0.000 Bohr magnetons per cell
**VASP energy**: -4.6004 eV/atom


DFT (PBE) results for crystalline Ti2TcRu at its relaxed geometry.

Lattice parameters (Å, degrees): 4.3774 4.3774 3.0830 90.00 90.00 90.00
With the nearest neighbours (Å) after each atom.
Space group P4/mmm (No. 123)
One atom of each set of equivalent atoms:
Ti (0.0000, 0.5000, 0.0000) [2 per cell]  4 Tc 2.68, 4 Ru 2.68
Tc (0.0000, 0.0000, 0.5000) [1 per cell]  8 Ti 2.68
Ru (0.5000, 0.5000, 0.5000) [1 per cell]  8 Ti 2.68

energy above the most stable polymorph in this dataset	0	meV/atom
formation enthalpy at 0 K	-0.648	eV per atom
energy	-9.506	eV per atom


The following is a DFT calculation (PBE) of crystalline Sc3GaN at its relaxed geometry.

Lattice parameters (Å, degrees): 6.2531 6.2531 8.8865 90.08 90.08 30.43
Closest atoms and distances in Å follow each position.
Fractional positions:
Sc 0.0689 0.0689 0.3681  2 N 2.19
Sc 0.3153 0.3153 0.3717  3 N 2.24-2.34
Sc 0.3300 0.3300 0.8866  1 N 2.25
Sc 0.6700 0.6700 0.1134  1 N 2.25
Sc 0.6847 0.6847 0.6283  3 N 2.24-2.34
Sc 0.9311 0.9311 0.6319  2 N 2.19
Ga 0.0728 0.0728 0.8749  5 Sc 2.75-3.05, 1 Ga 2.84
Ga 0.9272 0.9272 0.1251  5 Sc 2.75-3.05, 1 Ga 2.84
N 0.3112 0.3112 0.6344  6 Sc 2.19-2.34
N 0.6888 0.6888 0.3656  6 Sc 2.19-2.34

Values from the calculation:
* symmetry: C2/m, No. 12
* formation energy (no corrections): -0.903 eV per atom

=====

The following is a DFT calculation (PBE) of crystalline La2OsBr at its relaxed geometry.

Lattice parameters (Å, degrees): 6.3733 6.3733 6.3733 141.54 141.54 55.52
Closest atoms and distances in Å follow each position.
Fractional positions:
La 0.0000 0.0000 0.0000  4 Br 2.97
La 0.7500 0.2500 0.5000  4 Os 2.97
Os 0.2500 0.7500 0.5000  4 La 2.97
Br 0.5000 0.5000 0.0000  4 La 2.97

Values from the calculation:
* symmetry: I-4m2, No. 119
* formation energy (no corrections): -0.242 eV per atom
* distance to the lowest polymorph of the same formula: 0.563 eV/atom

=====

The following is a DFT calculation (PBE) of crystalline Tb12Er6Cd at its relaxed geometry.
-- stop --

Kaldath's prize for winning one of the Consolation Rounds in the last Friday Night Fights was a cyborg centaur body, now available in Body-Monster:

HM3: Thumbs up!

I've just added Myro's prize for winning Pop Quiz 6 to HandRight-Standard and HandRight-Female. In addition, as long as I was in there I went ahead and added the side-view fist to HandRight-Standard as well. Note that the female thumbs-up is redrawn to look more feminine for hers. Getting the item masking right on this one was tricky, so let me know how items mask to the hands.

**Misplaced materials data:**
- - -
Here is a relaxed structure of AcDyAgBi from the Alexandria database. Energies are from PBE.

Calculated values
- spin magnetization (μB/f.u.) = 0.78
- ρ (kg/m3) = 9628
- formation energy (kJ/mol of formula units) = -153
- space group = F-43m, No. 216

Cell lengths 5.564, 5.564, 5.564 Å; angles 60.00, 60.00, 60.00 degrees
Each line ends with the local moment (μB).
Positions (direct):
Dy 0.500 0.500 0.500  0.28
Ag 0.250 0.250 0.250  0.02
Bi 0.750 0.750 0.750  -0.01
Ac 0.000 0.000 0.000  0.11


Material: Nd2Si2N5
Method: DFT, PBE
State: optimized geometry

Lattice parameters (Å, degrees): 3.7845 5.4800 5.9361 102.06 90.00 110.20
Element x y z (fractional)
Si 0.8488 0.6976 0.1083
Si 0.1512 0.3024 0.8917
Nd 0.3916 0.7832 0.6750
Nd 0.6084 0.2168 0.3250
N 0.8539 0.7077 0.4040
N 0.0000 0.0000 0.0000
N 0.6751 0.3502 0.9469
N 0.3249 0.6498 0.0531
N 0.1461 0.2923 0.5960

Output
- Formation energy from raw total energies: -0.854 eV per atom
- Size of the total moment: 0.000 μB/f.u.
- Space-group type: C2/m
- Total energy: -69.7 eV per formula unit


Computed, not measured: Li2MoAs after structural relaxation at the PBE level of DFT.

Results
* calculated formation energy: 0.24 eV per formula unit
* uncorrected energy: -4.766 eV per atom
* total magnetic moment: 0.30 Bohr magnetons per cell

a b c (Å): 2.655 2.655 8.765
angles (deg): 90.00 90.00 90.00
Space group P4/mmm (No. 123)
Inequivalent atoms, fractional coordinates:
Li  0.000  0.000  0.229 x2
Mo  0.500  0.500  0.500 x1
As  0.500  0.500  0.000 x1


Record 1
VASP calculation (PBE) on a relaxed structure of SrLa2Mn.

```
data_SrLa2Mn
_cell_length_a 3.798
_cell_length_b 4.446
_cell_length_c 16.674
_cell_angle_alpha 90.00
_cell_angle_beta 90.00
_cell_angle_gamma 90.00
_symmetry_space_group_name_H-M 'A m m 2'
_symmetry_Int_Tables_number 38
loop_
_symmetry_equiv_pos_as_xyz
'x,y,z'
'-x,-y,z'
'-x,y,z'
'x,-y,z'
'x,y+1/2,z+1/2'
'-x,-y+1/2,z+1/2'
'-x,y+1/2,z+1/2'
'x,-y+1/2,z+1/2'
loop_
_atom_site_label
_atom_site_fract_x
_atom_site_fract_y
_atom_site_fract_z
Sr1 0.000 0.000 0.000
La1 0.000 0.000 0.677
La2 0.500 0.000 0.319
Mn1 0.500 0.000 0.185
```

Formation energy from the elements ... 0.326 eV/atom
Crystal system ... orthorhombic


Record 2
VASP calculation (PBE) on a relaxed structure of HoThZnIr.

```
data_HoThZnIr
_cell_length_a 7.113
_cell_length_b 7.113
_cell_length_c 7.113
_cell_angle_alpha 90.00
_cell_angle_beta 90.00
_cell_angle_gamma 90.00
_symmetry_space_group_name_H-M 'F -4 3 m'
_symmetry_Int_Tables_number 216
_symmetry_space_group_name_Hall 'F -4 2 3'
loop_
_atom_site_label
_atom_site_fract_x
_atom_site_fract_y
_atom_site_fract_z
Ho1 0.000 0.000 0.000
Th1 0.000 0.000 0.500
Zn1 0.250 0.250 0.750
Ir1 0.250 0.250 0.250
```

Formation energy from the elements ... -0.533 eV/atom
Crystal system ... cubic


Record 3
VASP calculation (PBE) on a relaxed structure of CrTc2Ir.

```
data_CrTc2Ir
_cell_length_a 8.998
_cell_length_b 2.707
_cell_length_c 4.665
_cell_angle_alpha 90.00
_cell_angle_beta 99.86
- - -

HM3: Frankenarm

Frankie had a loooooong outstanding prize request from before I was really doing regular contests, and he finally cashed in. I dub thee "Frankenarm". It can now be found in Tops-Female-Spandex. Why there instead of Female Gloves? Because like a moron I haven't done female gloves yet, a project that now has moved to the top of my list. And I didn't put it in hands because Frankie indicated he didn't want to be able to put items in it, but would rather be able to mask other items onto it (those are two mutually exclusive things, by the way). Thus, Frankenarm:

HM3: Female 3/4 Leg

AMS' final prize in his magical mystery win-a-palooza tour over the last few months is a three quarter view female leg, now available in Body-Female-Standard:

I went ahead and broke it into three items -- the whole leg, just the thigh, and just the lower leg.

HM3: Vase

Apparently I promised Kytana a vase in addition to her treasure chest, so I've just updated ItemRight-Miscellaneous with this one:

HM3: Side view fist

I forgot that I had posted AMS' prize for winning Character Contest 84, available now in Hand-Female-Standard:

HM3: Myro

I've just added Myro's portrait to the Head-Winners set as his prize for winning Caption Contest 116. Now you can make your very own Super Myro!

HM3: Satyr leg

I've just added a satyr leg to the Body-Monster set for Cliff's Character Contest 86 victory:

Cliff, I know you wanted three separate pieces, but generally I do my best to keep prizes to one item. Hopefully this will work for you.

HM3: Batik pattern

I've just added the following Batik pattern to "Patterns-Standard" as alvacascus' prize for winning Character Contest 78. If you don't see it, clear your browser cache and try again.

I cleaned up those over-run black bits as well in the final version, after this screen capture was taken. Enjoy!